Best To Capture Sexy Models. Indonesia Modelling.
Misplaced data records:
=====
C3H10S2 | ωB97M-V with the def2-TZVPD basis set

Last column: Mulliken charge in e.
Positions of all 15 atoms, in Å:
C  1.57  -2.59  -0.30  -1.1764
C  0.08  -2.32  -0.23  -0.2616
S  -0.62  -1.33  -1.65  -0.2144
H  1.91  -3.35  -1.08  0.3007
H  2.06  -1.63  -0.57  0.3562
H  1.89  -3.13  0.59  0.3460
H  0.08  -1.67  0.66  0.1828
H  -0.51  -3.24  -0.13  0.3685
H  0.37  -1.69  -2.44  0.1048
C  -0.76  1.54  0.87  -0.6216
S  0.12  3.00  1.56  -0.2224
H  -1.69  1.36  1.39  0.3271
H  -0.01  0.72  0.78  0.1205
H  -1.05  1.82  -0.13  0.2672
H  0.07  3.78  0.43  0.1228

Output
E_LUMO in eV: 0.813
SMILES: CCS.CS
HOMO level in eV: -9.0
Energy in a.u.: -916.632742

***

C4H11NO4S | ωB97M-V with the def2-TZVPD basis set

Last column: Mulliken charge in e.
Positions of all 21 atoms, in Å:
C  0.07  -1.33  -0.55  -1.0107
S  0.94  0.12  -0.69  1.1270
O  0.41  1.11  -1.64  -0.6488
O  0.95  1.01  0.68  -0.4694
O  2.54  -0.03  -0.88  -0.2697
C  3.35  1.07  -1.10  -0.6932
H  0.79  -1.92  0.06  0.3280
H  -0.10  -1.89  -1.43  0.3064
H  0.37  0.59  1.32  0.4180
H  3.79  1.68  -0.13  0.2151
H  2.72  1.83  -1.56  0.3117
H  4.18  0.89  -1.71  0.2958
C  -2.10  0.70  0.33  -0.9690
C  -1.80  -0.46  1.26  0.8618
N  -2.63  -1.59  1.18  -0.4459
O  -0.91  -0.53  2.05  -0.6849
H  -3.17  0.66  0.00  0.3615
H  -1.90  1.65  0.77  0.2779
H  -1.49  0.52  -0.50  0.2819
H  -2.50  -2.36  1.87  0.2334
H  -3.50  -1.71  0.68  0.1730

Output
E_LUMO in eV: 0.832
SMILES: C=[S@@](=O)(O)OC.CC(N)=O
HOMO level in eV: -9.0
Energy in a.u.: -912.793158

***

C67H67Cl2FN8O22S | ωB97M-V with the def2-TZVPD basis set

Last column: Mulliken charge in e.
Positions of all 168 atoms, in Å:
C  -9.45  2.79  4.52  -1.3595
C  -8.56  2.11  3.45  0.3842
O  -7.74  1.10  4.02  -0.3447
C  -7.30  0.16  3.05  -1.1247
C  -6.84  0.76  1.72  1.2111
C  -5.90  1.70  1.61  -0.5090
O  -5.23  2.22  2.65  0.2996
C  -4.30  1.26  3.21  -1.1009
C  -2.88  1.87  3.45  0.7291
C  -2.40  2.69  2.23  -1.4734
C  -2.77  2.56  4.85  -1.6166
C  -2.88  4.11  4.91  0.9469
C  -1.55  4.87  4.54  -1.5604
C  -4.13  4.70  4.16  -1.1467
C  -5.62  2.21  0.20  0.0285
O  -5.32  3.35  0.07  -0.5678
C  -5.78  1.23  -0.96  -0.1287
C  -4.89  1.46  -2.18  -0.7424
Cl  -3.24  2.01  -1.67  -0.2242
C  -5.50  2.66  -3.01  0.3261
C  -7.02  2.90  -2.78  -1.2567
Cl  -5.28  2.41  -4.79  -0.1987
C  -6.67  0.27  -0.82  1.2638
S  -6.90  -0.95  -2.13  1.2777
O  -7.17  -0.36  -3.39  -0.5359
O  -7.80  -2.00  -1.72  -0.6207
F  -5.46  -1.67  -2.23  -0.2382
C  -7.53  0.20  0.47  -0.5368
O  -8.60  -0.26  0.50  -0.4796
H  -9.62  3.83  4.18  0.3626
H  -10.45  2.31  4.59  0.3269
H  -8.96  2.84  5.50  0.3178
H  -9.26  1.65  2.71  0.1498
H  -7.95  2.90  2.98  0.0394
H  -8.11  -0.58  2.91  0.3748
H  -6.44  -0.37  3.51  0.3784
H  -4.14  0.48  2.44  0.5631
H  -4.69  0.74  4.10  0.2601
H  -2.22  0.98  3.50  0.6903
H  -1.43  3.18  2.40  0.3685
H  -3.16  3.38  1.83  0.0206
H  -2.22  1.96  1.41  0.4102
H  -3.61  2.17  5.47  0.3222
H  -1.86  2.20  5.37  0.4346
H  -3.04  4.37  5.97  0.5505
=====
History of Sexy Modelling : Models for life drawing classes are often entirely nude, apart from visually non-obstructive personal items such as small jewelry and sometimes eyeglasses. In a job advertisement seeking nude models, this may be referred to as being "undraped" or "disrobed". (Alternatively, a cache-sexe may be worn. Eadward Muybridge's historic scientific studies of the male and female form in motion, for example, has examples of both usages.)
In Western countries, there is generally no objection to either sex posing nude for or drawing members of the opposite sex. However, this was not always so in the past, particularly prior to the 20th century. In 1886, Thomas Eakins was famously dismissed from the Pennsylvania Academy of Fine Art for removing the loincloth from a male model in a mixed classroom. Similarly, Victorian modesty required the female model to pose nude with her face draped (illustration). European arts academies did not allow women to study the nude at all until the end of the nineteenth century. According to RAM guidelines in the U.K., art instructors and institutions consider the incident of a male model gaining an erection while posing cause for termination of the model's contract, or at any rate, grounds for not hiring him again. Policies may vary in other parts of the world.
During art school classes or an academic setting, it is commonly prohibited for anyone (including the instructor) to touch the model. Very close examination or requests for adjustment are typical—with the permission of the model. A few institutions allow only the instructor to speak directly with the model.
Additionally, nude models are sometimes paid to model as part of a performance or work of art; a fine example is the work of Vanessa Beecroft. Nude modeling can also occur in a private setting as demonstrated in the films As Good as It Gets and Maze. Finally, a person can be their own model, while solo, with or without mirrors.
History of Sexy Modelling : Models for life drawing classes are often entirely nude, apart from visually non-obstructive personal items such as small jewelry and sometimes eyeglasses. In a job advertisement seeking nude models, this may be referred to as being "undraped" or "disrobed". (Alternatively, a cache-sexe may be worn. Eadward Muybridge's historic scientific studies of the male and female form in motion, for example, has examples of both usages.)
In Western countries, there is generally no objection to either sex posing nude for or drawing members of the opposite sex. However, this was not always so in the past, particularly prior to the 20th century. In 1886, Thomas Eakins was famously dismissed from the Pennsylvania Academy of Fine Art for removing the loincloth from a male model in a mixed classroom. Similarly, Victorian modesty required the female model to pose nude with her face draped (illustration). European arts academies did not allow women to study the nude at all until the end of the nineteenth century. According to RAM guidelines in the U.K., art instructors and institutions consider the incident of a male model gaining an erection while posing cause for termination of the model's contract, or at any rate, grounds for not hiring him again. Policies may vary in other parts of the world.
Here the page breaks off for quantum chemistry results:
┌──
[1]
49
Properties=species:S:1:pos:R:3:forces:R:3:lowdin_charge:R:1 method="wB97M-V/def2-TZVPD" e_above_lowest_kcal_mol=0.0 orbital_gap_ev="6.30 / 6.00" charge=-2 lumo_ev="3.931 / 3.704" homo_energy_ev="-2.4 / -2.3" spin_multiplicity=4
Tc 1.741518 -0.486339 -0.374090 0.23 0.26 -0.34 1.212
O 2.387718 0.886270 -1.838858 -0.17 -0.19 -0.04 -0.310
N 1.421856 1.468570 -2.443515 -0.09 0.06 0.44 0.023
N 0.296259 1.352053 -1.861735 0.10 -0.27 0.03 -0.176
O 0.120664 0.640820 -0.741311 0.19 0.25 -0.26 -0.271
C -0.882854 1.920136 -2.433142 0.08 -0.11 -0.02 -0.162
C -0.795761 2.962026 -3.343641 0.03 0.06 -0.01 -0.023
C -1.965005 3.471533 -3.884419 0.02 -0.01 -0.01 -0.096
C -3.196952 2.946019 -3.517175 -0.01 0.01 -0.01 -0.104
C -3.258899 1.904298 -2.603575 -0.01 0.00 0.01 -0.073
C -2.100390 1.379098 -2.052018 -0.03 0.01 0.01 0.013
H 0.172590 3.359362 -3.613491 -0.03 0.00 0.01 0.107
H -1.911329 4.287539 -4.593774 0.00 0.00 0.00 0.096
H -4.106630 3.350195 -3.943005 0.00 0.00 0.00 0.094
H -4.214331 1.486712 -2.314628 -0.01 0.00 0.00 0.104
H -2.121466 0.558022 -1.349280 0.01 -0.01 0.00 0.118
C 4.520460 -2.535716 -2.509931 -0.02 0.06 0.05 -0.146
S 3.033040 -2.734140 -1.564707 -0.01 0.22 -0.41 0.411
O 2.829993 -4.144466 -1.408760 0.04 -0.03 -0.04 -0.300
O 1.981945 -1.985525 -2.290565 0.04 -0.13 0.40 -0.397
O 3.280071 -1.980728 -0.303095 0.02 -0.06 0.13 -0.482
H 4.372271 -3.023903 -3.470582 0.00 0.00 0.00 0.060
H 5.331026 -3.007991 -1.959374 0.00 0.00 0.00 0.063
H 4.709435 -1.471814 -2.636192 -0.02 -0.01 0.00 0.063
N -4.819350 1.828927 4.506479 -0.04 0.01 0.00 0.128
C -3.808392 1.545975 4.037463 0.02 0.00 0.01 -0.187
C -2.540971 1.194989 3.450184 -0.01 -0.03 0.00 -0.233
C -1.978232 -0.049055 3.690606 0.01 0.00 -0.01 0.002
C -0.757944 -0.339733 3.093905 -0.05 0.03 0.03 -0.170
N -0.114961 0.523129 2.319285 0.01 -0.02 0.09 0.039
C -0.654054 1.718435 2.109676 0.05 0.05 -0.08 -0.179
C -1.870883 2.106790 2.640037 0.01 0.03 0.00 -0.019
H -2.475937 -0.775466 4.316326 0.00 -0.01 0.00 0.118
H -0.261321 -1.287807 3.258378 -0.03 0.01 -0.02 0.048
H -0.071078 2.398561 1.496664 -0.01 -0.03 0.00 0.100
H -2.276282 3.091003 2.450939 0.00 -0.01 0.00 0.111
Se 2.462150 -1.585782 4.149848 0.02 -0.05 0.05 -0.159
Sb 2.954394 0.666417 3.497545 -0.14 -0.14 0.08 -0.352
Se 3.072103 1.070960 1.020724 -0.15 -0.11 -0.31 0.084
Se 1.871112 2.610835 4.564879 0.06 -0.04 0.01 -0.154
Se 5.024778 1.695186 4.337084 0.03 0.11 0.03 -0.177
F 0.560854 -4.744400 0.372133 0.05 -0.03 -0.08 0.142
C -0.664964 -4.246410 0.374976 -0.03 0.07 0.11 -0.652
F -1.372027 -4.853562 -0.590537 -0.04 -0.01 -0.07 0.113
F -1.241340 -4.567174 1.542429 0.03 -0.01 0.08 0.115
S -0.694604 -2.402904 0.118817 -0.35 -0.11 0.47 0.488
O -0.833178 -2.212187 -1.290465 -0.04 0.02 -0.62 -0.296
O -1.791097 -1.966326 0.939830 -0.05 -0.02 0.02 -0.285
O 0.635991 -2.022431 0.643662 0.31 0.16 0.26 -0.449

---

[2]
43
└──
During art school classes or an academic setting, it is commonly prohibited for anyone (including the instructor) to touch the model. Very close examination or requests for adjustment are typical—with the permission of the model. A few institutions allow only the instructor to speak directly with the model.
Additionally, nude models are sometimes paid to model as part of a performance or work of art; a fine example is the work of Vanessa Beecroft. Nude modeling can also occur in a private setting as demonstrated in the films As Good as It Gets and Maze. Finally, a person can be their own model, while solo, with or without mirrors.
While posing, the model is expected to remain motionless, like a mannequin, except for 'moving poses'. An experienced model will not speak, wriggle, scratch, or readjust during the pose, unless confronted by an artist or instructor who doesn't believe in complete stillness and silence in poses. To accommodate the physical limitations of the model, the model and instructor or artist may agree a schedule such as 25 minutes on, 10 minutes off to relax the muscles. The model's level of experience and skill may be taken into account in determining the length of the posing session and the difficulty of the poses.
Poses generally fall into three categories: standing, seated and reclining. Within each of these there are varying levels of difficulty, so one kind is not always easier than another. Artists and life drawing instructors will often prefer poses in which the body is being exerted, for a more dynamic and aesthetically interesting subject. Common poses such as standing twists, slouched seated poses and especially the classical contrapposto are difficult to sustain accurately for any amount of time, although it is often surprising what a skilled professional model can do. Poses can range in length from several seconds to many hours. Short dynamic poses may be used for gesture drawing exercises, with the model striking a pose - which can include strenuous or precarious positions that could not be sustained for a longer pose - just long enough for the artist to quickly capture the essence of it. Active, gestural, or challenging standing poses are often scheduled at the beginning of a session when the models' energy level is highest. Short exercises in drawing classes typically run from 5 to 25 minutes. For extended poses in which the model will take one or more breaks, chalk marks and/or masking tape are often used to help the model resume the same pose. These breaks - during which the model usually wears a robe or puts on clothing - allow the model to stretch, relax and attend to other needs.
**Someone pasted quantum chemistry results at this point**
+++
Entry from the OMol25 dataset: a single C5H8N2O molecule (ωB97M-V with the def2-TZVPD basis set).

- Max |F|: 1.45 eV/Å
- SMILES string: C[C@@H](C#N)CC(N)=O
- HOMO-LUMO gap: 10.57 eV
- Highest occupied orbital energy: -10.069 eV

Last column: Löwdin charge in e.
CARTESIAN COORDINATES (ANGSTROEM)
C  1.590438  1.194957  -0.814091  -0.067
C  0.731547  0.091192  -0.193953  -0.375
C  1.239058  -0.238610  1.150068  -0.190
N  1.649689  -0.527328  2.195151  0.166
C  -0.734035  0.525248  -0.150528  -0.094
C  -1.678127  -0.447976  0.522794  -0.545
N  -1.565174  -1.763020  0.197034  0.167
O  -2.575231  -0.074182  1.271368  0.046
H  2.640840  0.887886  -0.873506  0.088
H  1.549835  2.115823  -0.220517  0.093
H  1.251262  1.430222  -1.828504  0.086
H  0.827631  -0.798169  -0.828648  0.136
H  -0.819963  1.477772  0.389539  0.137
H  -1.108426  0.696483  -1.167259  0.136
H  -0.809166  -2.172556  -0.330271  0.097
H  -2.190178  -2.397743  0.681323  0.119

Forces on the atoms, in the same order (eV/Å):
C 0.45 0.24 -0.13
C 0.08 0.23 -0.30
C 0.40 -0.57 1.07
N -0.51 0.43 -1.29
C -0.16 0.25 0.33
C -1.14 0.14 0.58
N 0.03 -0.50 0.01
O 0.84 -0.09 -0.58
H -0.21 0.04 0.02
H -0.07 -0.22 -0.06
H -0.03 -0.10 0.18
H 0.08 0.00 0.22
H -0.03 -0.29 -0.11
H 0.18 -0.06 0.08
H -0.12 0.27 0.13
H 0.22 0.23 -0.15

=====

Entry from the OMol25 dataset: 2 unconnected molecules or ions with the total composition C6H12N2 (ωB97M-V with the def2-TZVPD basis set).

- Max |F|: 2.05 eV/Å
- SMILES string: Cc1c[nH]cn1.CC
- HOMO-LUMO gap: 9.31 eV
- Highest occupied orbital energy: -8.456 eV

Last column: Löwdin charge in e.
CARTESIAN COORDINATES (ANGSTROEM)
C  2.344485  -2.602424  -1.119745  -0.063
C  1.157436  -2.252782  -0.332637  -0.362
C  -0.179181  -2.566691  -0.496326  -0.073
N  -0.876536  -1.653876  0.241762  0.036
C  0.022319  -0.849166  0.900775  -0.196
N  1.226450  -1.183979  0.525697  0.082
H  2.211420  -2.236192  -2.142030  0.080
H  2.608035  -3.661956  -1.019782  0.076
H  3.246291  -2.109074  -0.747875  0.074
H  -0.682330  -3.233049  -1.174448  0.109
H  -1.876136  -1.664951  0.347439  0.141
H  -0.329417  -0.030111  1.492490  0.088
C  -0.806192  2.395869  0.832113  -0.184
C  -1.396983  3.536643  -0.003395  -0.174
H  -0.826636  1.526585  0.180984  0.041
H  0.232934  2.557640  1.119515  0.070
H  -1.367270  2.350634  1.764398  0.068
H  -1.346443  4.502482  0.516314  0.058
H  -2.486925  3.465545  0.053491  0.063
H  -0.875319  3.708850  -0.938741  0.064

Forces on the atoms, in the same order (eV/Å):
C 1.09 -0.59 0.00
C -1.57 1.15 0.41
C 0.78 0.15 -0.45
N -0.20 -0.01 0.65
C -0.53 -1.25 -1.36
N 0.69 0.64 0.82
H 0.13 -0.60 -0.07
H -0.31 0.02 -0.67
H -0.36 0.28 0.22
H 0.02 -0.17 0.09
H 0.02 0.10 0.09
H 0.32 0.05 0.37
C 0.17 0.98 -0.57
C -0.08 1.13 1.71
H -0.23 -0.39 0.55
H 0.09 0.10 -0.17
H -0.13 -0.67 -0.09
H 0.70 -0.03 0.19
H 0.02 -0.53 -1.29
H -0.61 -0.35 -0.42

=====
+++
In life drawing rooms of art schools, the platform where the life model poses for the students is sometimes referred to as the dais.